Search the calculation results further below for the word "of" and reproduce each line that has it.
Computed, not measured: an isolated molecule of C4H4N2O, with ωB97M-V/def2-TZVPD.

Last column: natural (NBO) charge in e.
Geometry (Å):
O: -0.88 -1.10 0.54  -0.34
N: 0.76 -1.05 -1.21  -0.84
N: -0.50 -0.52 1.73  -0.04
C: -0.82 0.92 -0.94  -0.15
C: 0.06 0.64 1.53  -0.06
C: -0.27 -0.33 -0.51  0.32
C: -0.05 1.00 0.14  -0.10
H: 1.08 -1.82 -0.64  0.37
H: -1.39 1.45 -1.69  0.23
H: 1.53 -0.39 -1.30  0.37
H: 0.49 1.18 2.35  0.23

Results
E_HOMO ... -9.02 eV
Orbital gap ... 9.205 eV
Charge ... 0
Calculated total energy ... -9235.0912 eV
LUMO ... 0.185 eV
Multiplicity ... 1

----------

19
Properties=species:S:1:pos:R:3 method="wB97M-V/def2-TZVPD" e_tot_ha=-310.991161 de_lowest_kcal_mol=42.7 spin_multiplicity=1 homo_lumo_gap_ha=0.374 smiles=CC[C@@]1(C)C[C@H]1O e_lumo_ha=0.0336
C 2.101 0.229 -0.367
C 0.980 -0.077 0.629
C -0.459 -0.294 0.103
C -0.514 -1.171 -1.123
C -1.413 -0.248 1.265
C -1.453 0.858 0.246
O -0.833 2.118 0.264
H 1.928 1.167 -0.904
H 2.233 -0.573 -1.102
H 3.056 0.330 0.165
H 0.984 0.688 1.412
H 1.240 -1.020 1.136
H -0.114 -0.581 -1.962
H 0.109 -2.071 -1.039
H -1.541 -1.450 -1.373
H -1.022 -0.098 2.266
H -2.275 -0.911 1.201
H -2.470 0.956 -0.155
H -0.537 2.147 -0.661



29
Properties=species:S:1:pos:R:3 method="wB97M-V/def2-TZVPD" e_tot_ha=-1216.561138 spin_multiplicity=1 total_charge=-1 homo_lumo_gap_ha=0.272 e_lumo_ha=0.1037
N -2.008 -1.059 0.275
C -2.613 0.096 -0.473
C -4.197 0.177 -0.129
O -4.959 -0.921 -0.708
O -6.280 -0.583 -0.561
C -1.988 1.464 0.161
O -1.759 1.400 1.449
O -1.747 2.601 -0.590
H -2.195 -1.949 -0.207
H -1.007 -0.913 0.455
H -2.445 0.032 -1.606
H -4.563 1.139 -0.658
H -4.387 0.258 1.010
H -6.541 -0.810 0.363
O 2.923 -0.040 2.190
S 2.282 0.097 0.905
O 1.451 -0.945 0.358
O 3.400 0.501 -0.198
C 4.559 -0.317 -0.321
C 4.267 -1.583 -1.105
C 1.377 1.616 0.875
H 4.977 -0.549 0.663
H 5.306 0.273 -0.858
H 3.597 -2.243 -0.549
H 5.190 -2.132 -1.309
H 3.776 -1.348 -2.052
H 2.024 2.417 1.232
H 0.512 1.510 1.530
H 1.046 1.811 -0.145



128
Properties=species:S:1:pos:R:3 method="wB97M-V/def2-TZVPD" e_tot_ha=-25385.746247 spin_multiplicity=1 total_charge=+1 homo_lumo_gap_ha=0.273 e_lumo_ha=-0.1392
C -1.257 -6.057 3.748
C -1.075 -6.074 2.220
C 0.073 -5.217 1.632
Br 0.534 -6.278 -0.004
C -0.088 -3.665 1.560
P 0.257 -3.114 3.414
O 1.496 -3.870 4.136
O -1.134 -3.037 4.280
N -1.448 -3.073 1.361
C -2.763 -3.604 1.756
C -3.835 -2.589 2.120
O -3.341 -1.544 2.915
C -4.756 -2.101 0.955
F -5.991 -2.635 1.126
F -4.328 -2.496 -0.266
F -4.894 -0.763 0.973
C -1.418 -1.954 0.728
C -0.032 -1.325 0.528
C -0.168 -0.069 1.544
F -1.551 0.223 1.588
C 0.216 0.038 3.017
C -0.198 1.501 3.440
C -0.181 -0.688 -0.918
F -0.928 -1.505 -1.745
F -1.040 0.392 -0.803
C 1.013 -0.064 -1.730
F 2.232 -0.623 -1.561
F 1.117 1.257 -1.429
C 0.735 -0.113 -3.279
F 0.788 -1.372 -3.737
F -0.396 0.500 -3.613
F 1.756 0.560 -3.858
C 0.774 -2.715 0.639
C 0.903 -3.267 -0.838
C -0.132 -3.897 -1.780
O 0.236 -4.101 -2.842
Br -1.972 -4.446 -1.476
C 2.361 -2.580 0.932
I 3.377 -4.485 1.238
C 2.888 -1.597 2.010
C 4.276 -1.897 2.628
I 3.182 0.410 1.242
H -0.301 -5.830 4.235
H -1.994 -5.352 4.129
H -1.529 -7.052 4.106
H -2.007 -5.964 1.670
H -0.804 -7.111 2.010
H 0.925 -5.449 2.269
H 1.464 -4.835 4.280
H -1.007 -3.329 5.197
H -3.176 -4.334 1.060
H -2.613 -4.163 2.675
H -4.542 -3.161 2.736
H -4.091 -1.068 3.292
H -2.272 -1.400 0.366
H 0.346 0.764 1.057
H -0.410 -0.568 3.666
H 1.261 0.040 3.286
H 0.508 1.875 4.185
H -0.151 2.196 2.599
H -1.182 1.514 3.906
H 1.341 -2.502 -1.475
H 1.684 -4.030 -0.856
H 2.814 -2.258 -0.004
H 2.259 -1.627 2.893
H 4.212 -2.618 3.442
H 5.064 -2.080 1.900
H 4.576 -0.976 3.135
C -5.004 4.088 -6.831
Cl -5.894 2.744 -7.542
Cl -4.652 5.323 -8.036
Cl -5.903 4.784 -5.478
H -4.065 3.708 -6.449
C -6.742 1.221 -2.176
Cl -7.617 -0.148 -2.865
Cl -6.351 2.403 -3.425
Cl -7.675 1.974 -0.883
H -5.820 0.849 -1.751
C 4.302 -0.488 6.611
Cl 4.445 -0.952 8.297
Cl 5.840 -0.661 5.771
Cl 3.034 -1.443 5.817
H 4.009 0.553 6.569
C -3.897 7.923 -4.198
Cl -2.529 6.845 -3.897
Computed, not measured: an isolated molecule of C4H4N2O, with ωB97M-V/def2-TZVPD.